Excerpt:
=====
[1]
First-principles (PBEsol) data for KTl2Pb after structural relaxation, as listed in the Alexandria database.

Output
Calculated formation energy: -0.03 eV/atom
Density: 8.765 g/cm³

abc: 3.9844 5.6622 6.4997
angles: 115.82 107.85 90.00
Sites, in units of the cell vectors:
Pb: 0.2683 0.7683 0.5365
Tl: 0.9988 0.9988 0.9976
Tl: 0.7329 0.2329 0.4658
K: 0.5000 0.5000 0.0001

***

[2]
First-principles (PBEsol) data for K2TlPb after structural relaxation, as listed in the Alexandria database.

Output
Calculated formation energy: -0.10 eV/atom
Density: 5.552 g/cm³
Excess energy over the best structure of this formula in the dataset: 0.00 eV/f.u.

abc: 4.1014 6.0237 6.9594
angles: 115.64 107.14 90.00
Sites, in units of the cell vectors:
Pb: 0.5330 0.5330 0.0659
Tl: 0.2203 0.7203 0.4406
K: 0.9740 0.9740 0.9481
K: 0.7727 0.2727 0.5455

***

[3]
First-principles (PBEsol) data for KTlPb2 after structural relaxation, as listed in the Alexandria database.

Output
Calculated formation energy: -0.03 eV/atom
Density: 9.008 g/cm³
Excess energy over the best structure of this formula in the dataset: 0.29 eV/f.u.

abc: 3.4198 6.2251 6.2251
angles: 113.78 90.00 90.00
Sites, in units of the cell vectors:
K: 0.5000 0.5000 0.5000
Pb: 0.0000 0.5000 0.0000
Pb: 0.0000 0.0000 0.5000
Tl: 0.5000 0.0000 0.0000

***

[4]
First-principles (PBEsol) data for KTlPb2 after structural relaxation, as listed in the Alexandria database.

Output
Calculated formation energy: -0.05 eV/atom
Density: 8.529 g/cm³
Excess energy over the best structure of this formula in the dataset: 0.21 eV/f.u.

abc: 3.4581 5.8100 6.7214
angles: 96.26 90.00 107.31
Sites, in units of the cell vectors:
Pb: 0.7473 0.4946 0.7016
Pb: 0.2527 0.5054 0.2984
Tl: 0.0000 0.0000 0.5000
K: 0.5000 0.0000 0.0000

***

> What is the formula in the first record?

KTl2Pb

* * * * *

No. 1
Material: Cr4CuTc
Method: DFT, PBE
State: relaxed

Properties
Total moment (μB per cell): 0.00
ΔE_f (eV per atom): 0.146
Density of states at the Fermi level (states/eV/atom): 0.293

```
6
Lattice="1.229 -0.534 4.522 -3.324 -0.590 3.293 -0.516 -4.188 2.105" Properties=species:S:1:pos:R:3 pbc="T T T"
Cr -0.377 -2.264 5.968
Cr -1.238 -4.068 4.775
Cr -2.625 -2.292 5.362
Cr -0.983 -2.000 3.736
Cu -1.959 -3.984 7.440
Tc 0.000 0.000 0.000
```

=====

No. 2
Material: CrCu2Tc
Method: DFT, PBE
State: relaxed

Properties
Total moment (μB per cell): 0.00
ΔE_f (eV per atom): 0.242
E above lowest polymorph (eV per atom): 0.048
Density of states at the Fermi level (states/eV/atom): 0.916

```
4
Lattice="2.534 0.000 0.000 0.000 2.534 0.000 0.000 0.000 7.869" Properties=species:S:1:pos:R:3 pbc="T T T"
Cr 1.267 1.267 6.011
Cu 0.000 0.000 0.008
Cu 1.267 1.267 1.871
Tc 0.000 0.000 3.914
```

=====

No. 3
Material: CrCu2Tc
Method: DFT, PBE
State: relaxed

Properties
Total moment (μB per cell): 1.01
ΔE_f (eV per atom): 0.240
E above lowest polymorph (eV per atom): 0.045
Density of states at the Fermi level (states/eV/atom): 0.704

```
4
Lattice="4.511 -0.039 -0.194 1.476 4.263 0.194 -2.877 -2.276 2.632" Properties=species:S:1:pos:R:3 pbc="T T T"
Cr 0.797 2.050 1.413
Cu 0.000 0.000 0.000
Cu 2.314 -0.102 1.219
Tc 2.992 2.111 0.000
```

=====

No. 4
Material: CrCu4Tc
Method: DFT, PBE
State: relaxed

Properties
Total moment (μB per cell): 1.55
ΔE_f (eV per atom): 0.261
Density of states at the Fermi level (states/eV/atom): 0.582

```
6
Lattice="0.000 3.381 3.381 3.381 0.000 3.381 3.381 3.381 0.000" Properties=species:S:1:pos:R:3 pbc="T T T"
Cr 0.000 0.000 0.000
Cu 2.535 4.227 4.227
Cu 4.227 4.227 2.535
Cu 4.227 2.535 4.227
Cu 2.535 2.535 2.535
Tc 5.072 5.072 5.072
```

=====

No. 5
Material: Cr2CuTc2
Method: DFT, PBE
State: relaxed

Properties
Total moment (μB per cell): 0.00
ΔE_f (eV per atom): 0.325
Density of states at the Fermi level (states/eV/atom): 0.725

```
10
Lattice="-6.619 -0.663 2.164 0.427 -6.935 -0.817 0.890 -0.257 2.645" Properties=species:S:1:pos:R:3 pbc="T T T"
Cr -2.002 -6.186 0.073
Cr -5.404 -5.021 1.332
=====

To do:
Next, quote only the lines further up with the word "Tl" in them.

Response:
Tl: 0.9988 0.9988 0.9976
Tl: 0.7329 0.2329 0.4658
Tl: 0.2203 0.7203 0.4406
Tl: 0.5000 0.0000 0.0000
Tl: 0.0000 0.0000 0.5000